Fear 2 Project origin had a rocky start before it even got off the ground and once it released, it was in for even more of a fight.
Today I’d like to let you guys in on a secret. I absolutely love the Last of Us
The people have spoken, and it's dinosaurs and horror they want!
In a very "Parasite Eve" move, the follow up to Dino Crisis would fall pretty far from the proverbial tree.
Ok so get this. Dino Crisis, the game created to bring survival horror back to its roots, ended up going arcade action, and then when it came time to make a 3rd game, capcom decided to roll it into the Gun Survivor series.
Alright guys, we all know what we’re in here for. Dino Crisis 3 is world renowned for being absolutely terrible.
As the streets of New York ice over and the blood of the criminal underground stains the snow red, there stands one man with a single goal. Revenge.
After the original Max Payne gained a giant following on both PC and Console, it was assured that Remedy would jump back in the ring for another dark noir shootout.
Can Max Payne exist without Remedy at the helm?! Well it's about time to find out.
Let's crack into one of the most unique role playing games of all time!
After the success of the original Parasite Eve, you would figure Square would want to make another role playing game in the same vein…..
Well we’ve finally reached the end of this little journey….
It's pretty common for games from the early 2000's to fall through the cracks, as they aren't quite modern, but not quite retro. #HunterTheReckoning most definitely falls into that category.
After #HunterTheReckoning's relative success with their initial jump from pen and paper to video game, a sequel was all but guaranteed.
Between two parts of the text: materials data >
+++
A relaxed Pm4AgPd crystal. Source: Alexandria via LeMat-Bulk, functional PBE.

N(E_F), states/eV/cell: 7.973
Relative energy among the computed polymorphs, meV/atom: 211
Calculated volume, Å³ per atom: 31.2
Raw total energy, eV per atom: -4.668
Energy of formation, eV per formula unit: -0.96
Size of the total moment, μB/cell: 0.0

Cell: 4.8139 5.4886 7.2243 Å, 101.57 90.27 90.03°
Closest atoms and distances in Å follow each position.
Space group P-1 (No. 2)
One atom of each set of equivalent atoms:
Pm: 0.0010 0.0503 0.2609 [2 per cell]  2 Pd 3.00-3.02, 1 Ag 3.22
Pm: 0.4981 0.4624 0.7381 [2 per cell]  1 Pd 2.77, 2 Ag 3.04
Ag: 0.0000 0.5000 0.0000 [1 per cell]  8 Pm 3.04-3.39
Pd: 0.5000 0.0000 0.5000 [1 per cell]  6 Pm 2.77-3.02

A relaxed Pm2Ag5Pd crystal. Source: Alexandria via LeMat-Bulk, functional PBE.

N(E_F), states/eV/cell: 14.925
Calculated volume, Å³ per atom: 22.3
Raw total energy, eV per atom: -3.864
Energy of formation, eV per formula unit: -1.96
Size of the total moment, μB/cell: 0.0

Cell: 4.0361 17.9998 9.8399 Å, 90.00 90.00 90.00°
Closest atoms and distances in Å follow each position.
Space group Cmcm (No. 63)
One atom of each set of equivalent atoms:
Pm: 0.0000 0.0000 0.0000 [4 per cell]  4 Ag 3.13, 4 Pd 3.26
Pm: 0.0000 0.1727 0.2500 [4 per cell]  8 Ag 3.08-3.23, 2 Pd 3.12
Ag: 0.0000 0.2119 0.6037 [8 per cell]  6 Ag 2.78-3.05
Ag: 0.0000 0.3676 0.5252 [8 per cell]  4 Ag 2.73-2.91, 1 Pd 2.76
Ag: 0.0000 0.3867 0.2500 [4 per cell]  6 Ag 2.73-3.05, 1 Pd 2.76
Pd: 0.0000 0.4598 0.7500 [4 per cell]  3 Ag 2.76

A relaxed PmAgPd crystal. Source: Alexandria via LeMat-Bulk, functional PBE.

N(E_F), states/eV/cell: 1.051
Relative energy among the computed polymorphs, meV/atom: 57
Calculated volume, Å³ per atom: 22.6
Raw total energy, eV per atom: -4.762
Energy of formation, eV per formula unit: -1.49
Size of the total moment, μB/cell: 0.0

Cell: 4.6486 4.6486 3.6218 Å, 90.00 90.00 120.00°
Closest atoms and distances in Å follow each position.
Space group P3m1 (No. 156)
One atom of each set of equivalent atoms:
Pm: 0.0000 0.0000 0.0000 [1 per cell]  6 Pd 3.24, 6 Ag 3.24, 2 Pm 3.62
Ag: 0.6667 0.3333 0.4994 [1 per cell]  3 Pd 2.68
Pd: 0.3333 0.6667 0.5012 [1 per cell]  3 Ag 2.68

A relaxed PmAgPd2 crystal. Source: Alexandria via LeMat-Bulk, functional PBE.

N(E_F), states/eV/cell: 1.437
Relative energy among the computed polymorphs, meV/atom: 0
Calculated volume, Å³ per atom: 19.2
Raw total energy, eV per atom: -5.084
Energy of formation, eV per formula unit: -2.35
Size of the total moment, μB/cell: 0.0

Cell: 4.3953 4.3953 3.9757 Å, 90.00 90.00 90.00°
Closest atoms and distances in Å follow each position.
Space group P4/mmm (No. 123)
One atom of each set of equivalent atoms:
Pm: 0.0000 0.0000 0.0000 [1 per cell]  8 Pd 2.96, 4 Ag 3.11
Ag: 0.5000 0.5000 0.0000 [1 per cell]  8 Pd 2.96, 4 Pm 3.11
Pd: 0.0000 0.5000 0.5000 [2 per cell]  4 Ag 2.96, 4 Pm 2.96, 4 Pd 3.11

A relaxed Pm2Ag3Pd crystal. Source: Alexandria via LeMat-Bulk, functional PBE.
+++
As sad as it is, we have reached the end of the line in the #HunterTheReckoning series. This time we're checking out the #Xbox exclusive Redeemer.
I think everyone knows I love me some Resident Evil. That survival horror playstyle just does something for me, and if you thought I would change that anytime soon, you are sadly mistaken.
After producing a pretty well received hit in their Resident Evil inspired samurai game, Capcom was guaranteed to chase a follow up.
So we've covered the survival horror adjacent origins of this series, but did you ever think we'd cross over into the realm of GBA turn based strategy RPG's?????
Well there's not much to say here. Capcom's survival horror lite Onimusha series has been great so far, but nothing top Onimusha 3 in my opinion.
Did you ever think to yourself "I wonder what a cross between Nintendo's Super Smash Bros and Capcom's Onimusha"?
Well we have finally reached the end of this little dive into Capcom's once horror samurai series, and Dawn of Dreams is one hell of a title to end on.
This is insane and I never should have inflicted it on myself.
This is a collection of my reviews of the Suffering series.
This is a collection of all my #Stalker #Retrospective videos that were previously released individually.
In celebration of the amazing #SilentHill franchise, let's take a look at every single game and movie that makes up this gaming dynasty!
This is a collection of all my videos in the Dead Space Retrospective.
This is a collection of previously released videos covering the Metro series of apocalyptic first shooters.